**Contents**
Diffraction record for Ba2EuWO6. The XRD peak list is computed, not measured: it uses a cell relaxed with GGA+U and Cu Kα X-rays.
Neutral-atom scattering factors, no anomalous dispersion.

Principal peaks in the range 10° ≤ 2θ ≤ 80°, in order of rising 2θ:
hkl, 2theta, intensity
1 1 1, 17.7, 1
2 0 0, 20.5, 4
2 2 0, 29.1, 100
4 0 0, 41.6, 27
4 2 0, 46.8, 2
4 2 2, 51.6, 42
4 4 0, 60.3, 17
4 4 2, 64.4, 1
6 2 0, 68.3, 19
4 4 4, 75.9, 5

Cell lengths 8.6823, 8.6823, 8.6823 Å; angles 90.00, 90.00, 90.00 degrees
Positions (direct):
Ba (0.2500, 0.2500, 0.2500)
Ba (0.2500, 0.2500, 0.7500)
Ba (0.2500, 0.7500, 0.2500)
Ba (0.2500, 0.7500, 0.7500)
Ba (0.7500, 0.2500, 0.2500)
Ba (0.7500, 0.2500, 0.7500)
Ba (0.7500, 0.7500, 0.2500)
Ba (0.7500, 0.7500, 0.7500)
Eu (0.0000, 0.0000, 0.0000)
Eu (0.0000, 0.5000, 0.5000)
Eu (0.5000, 0.0000, 0.5000)
Eu (0.5000, 0.5000, 0.0000)
W (0.0000, 0.0000, 0.5000)
W (0.0000, 0.5000, 0.0000)
W (0.5000, 0.0000, 0.0000)
W (0.5000, 0.5000, 0.5000)
O (0.0232, 0.5286, 0.7746)
O (0.0232, 0.9714, 0.7254)
O (0.0286, 0.2254, 0.5232)
O (0.0286, 0.2746, 0.9768)
O (0.2254, 0.5232, 0.0286)
O (0.2254, 0.9768, 0.4714)
O (0.2746, 0.5232, 0.4714)
O (0.2746, 0.9768, 0.0286)
O (0.4714, 0.2254, 0.9768)
O (0.4714, 0.2746, 0.5232)
O (0.4768, 0.5286, 0.7254)
O (0.4768, 0.9714, 0.7746)
O (0.5232, 0.0286, 0.2254)
O (0.5232, 0.4714, 0.2746)
O (0.5286, 0.7254, 0.4768)
O (0.5286, 0.7746, 0.0232)
O (0.7254, 0.0232, 0.9714)
O (0.7254, 0.4768, 0.5286)
O (0.7746, 0.0232, 0.5286)
O (0.7746, 0.4768, 0.9714)
O (0.9714, 0.7254, 0.0232)
O (0.9714, 0.7746, 0.4768)
O (0.9768, 0.0286, 0.2746)
O (0.9768, 0.4714, 0.2254)


ZrAg3: calculated PXRD pattern (a wavelength of 1.5418 Å), based on a DFT-relaxed cell (GGA-PBE, Alexandria).

Principal peaks in the range 10 to 90 degrees two-theta, in order of falling intensity:
Position (°2θ)  d (Å)  I_rel
35.58  2.523  1000
37.67  2.388  851
41.92  2.155  624
**Wanted**
Repeat the lines further above up to the one that holds "(0.0286, 0.2746,", that line included.
**Done**
Diffraction record for Ba2EuWO6. The XRD peak list is computed, not measured: it uses a cell relaxed with GGA+U and Cu Kα X-rays.
Neutral-atom scattering factors, no anomalous dispersion.

Principal peaks in the range 10° ≤ 2θ ≤ 80°, in order of rising 2θ:
hkl, 2theta, intensity
1 1 1, 17.7, 1
2 0 0, 20.5, 4
2 2 0, 29.1, 100
4 0 0, 41.6, 27
4 2 0, 46.8, 2
4 2 2, 51.6, 42
4 4 0, 60.3, 17
4 4 2, 64.4, 1
6 2 0, 68.3, 19
4 4 4, 75.9, 5

Cell lengths 8.6823, 8.6823, 8.6823 Å; angles 90.00, 90.00, 90.00 degrees
Positions (direct):
Ba (0.2500, 0.2500, 0.2500)
Ba (0.2500, 0.2500, 0.7500)
Ba (0.2500, 0.7500, 0.2500)
Ba (0.2500, 0.7500, 0.7500)
Ba (0.7500, 0.2500, 0.2500)
Ba (0.7500, 0.2500, 0.7500)
Ba (0.7500, 0.7500, 0.2500)
Ba (0.7500, 0.7500, 0.7500)
Eu (0.0000, 0.0000, 0.0000)
Eu (0.0000, 0.5000, 0.5000)
Eu (0.5000, 0.0000, 0.5000)
Eu (0.5000, 0.5000, 0.0000)
W (0.0000, 0.0000, 0.5000)
W (0.0000, 0.5000, 0.0000)
W (0.5000, 0.0000, 0.0000)
W (0.5000, 0.5000, 0.5000)
O (0.0232, 0.5286, 0.7746)
O (0.0232, 0.9714, 0.7254)
O (0.0286, 0.2254, 0.5232)
O (0.0286, 0.2746, 0.9768)